Creating Custom Weather Forecast Entity from Sensors

I am trying to create a Weather Forecast entity based on a JSON file which is created from a CSV file generated by a software package WXSIM which is running locally. This package generates an hourly forecast for my location.

I have successfully created a JSON file, and have that in HA using rest, and it appears as a sensor (sensor.wxsim). I can see the values in Developer Tools.

I am now trying to create a Forecast entity, initially to just populate a weather card.

I am using a third party integration to bring in current data from my weather station, which appears to work, but the forecast bit does not.

Below is what I have so far, but it doesn’t work.
Template in Developer Tools returns the error “TypeError: ‘NoneType’ object is not iterable”

Can someone point me in the right direction please?

  - platform: template
    name: "WXSIM"
    condition_template: "{{ state_attr('sensor.wxsim', 'WX Type 1') }}"
    temperature_template: "{{ states('sensor.meteobridge_air_temperature') | float }}" 
    temperature_unit: "°C"
    humidity_template: "{{ states('sensor.meteobridge_relative_humidity') | float }}"  
    visibility_template: "{{ states('sensor.meteobridge_visibility') | float }}"
    forecast_hourly_template: |
      {% for datetime_list in state_attr('sensor.wxsim', 'time') %}
        {% if loop.index > (now().hour|int)+1 %}
          {% set temperature_list = state_attr('sensor.wxsim', 'temperature')[loop.index0] %}
          {% set humidity_list = state_attr('sensor.wxsim', 'Rel.Hum.')[loop.index0] %}
          {% set precipitation_list = state_attr('sensor.wxsim', 'Tot.Prcp')[loop.index0] %}
          {% set wind_bearing_list = state_attr('sensor.wxsim', 'Wind Dir.')[loop.index0] %}
          {% set wind_speed_list = state_attr('sensor.wxsim', 'Wind Spd.')[loop.index0] %}
          {% set condition_list = state_attr('sensor.wxsim', 'WX Type 1')[loop.index0] %}
           "datetime": "{{datetime_list | as_datetime}}",
           "temperature": {{temperature_list | float}},
           "humidity": {{humidity_list | float}},
           "precipitation": {{precipitation_list | float}},
           "wind_bearing": {{wind_bearing_list | int}},
           "wind_speed": {{wind_speed_list | float}},
           "condition": "{{condition_list | float}},
        {% endif %}
      {% endfor %}

Use a namespace to extract an actual list of dictionaries out of the loop. Currently, you are just printing a “list-shaped” string.

Also, there are a few quote marks that do not belong…

  - platform: template
    name: "WXSIM"
    condition_template: "{{ state_attr('sensor.wxsim', 'WX Type 1') }}"
    temperature_template: "{{ states('sensor.meteobridge_air_temperature') | float }}" 
    temperature_unit: "°C"
    humidity_template: "{{ states('sensor.meteobridge_relative_humidity') | float }}"  
    visibility_template: "{{ states('sensor.meteobridge_visibility') | float }}"
    forecast_hourly_template: |
      {% set ns = namespace(forecasts=[]) %}
      {% for datetime_list in state_attr('sensor.wxsim', 'time') %}
        {% if loop.index > now().hour + 1 %}
          {% set temperature_list = state_attr('sensor.wxsim', 'temperature')[loop.index0] %}
          {% set humidity_list = state_attr('sensor.wxsim', 'Rel.Hum.')[loop.index0] %}
          {% set precipitation_list = state_attr('sensor.wxsim', 'Tot.Prcp')[loop.index0] %}
          {% set wind_bearing_list = state_attr('sensor.wxsim', 'Wind Dir.')[loop.index0] %}
          {% set wind_speed_list = state_attr('sensor.wxsim', 'Wind Spd.')[loop.index0] %}
          {% set condition_list = state_attr('sensor.wxsim', 'WX Type 1')[loop.index0] %}
          {%  set ns.forecasts = ns.forecasts + 
            [ {"datetime": datetime_list | as_datetime,
            "temperature": temperature_list | float,
            "humidity": humidity_list | float,
            "precipitation": precipitation_list | float,
            "wind_bearing": wind_bearing_list | int,
            "wind_speed": wind_speed_list | float,
            "condition": condition_list | float} ] %}
        {% endif %}
      {% endfor %}
      {{ ns.forecasts }}

The extra quote marks doesn’t surprise me. I copied and pasted it and didn’t run it through a YAML validator to pick them up - so my error there.

Thank you for posting some corrected code, however your version of the code still doesn’t work.
Exactly the same as I what I had - the live data using Meteobridge sensors is being populated as expected, but the forecast data just says “Unknown”.

Should I expect it to work through the template testing tool in Developer Tools? If not, then I will stop trying it through that.

Looking at the source JSON file again, I notice that it is actually creating a forecast for 30 minute intervals, not hourly. Would that cause a problem?

Can I provide any more information to help troubleshoot why this isn’t working?

Yes, the template on it’s own should render in the Template Editor.

Are you sure all the attributes are actually returning lists?

For example, what do the following return:

{{state_attr('sensor.wxsim', 'time')}}

{{state_attr('sensor.wxsim', 'time')[0]}}

That’s definitely a possible issue for the weather entity itself, but it wouldn’t affect the template rendering in the Template editor.

This might sound like a basic question, but do I just paste that in to Developer Tools and should see a result?
As I don’t. I get “Result type: String” and then the text repeated.

I have no idea if the attribute is returning a list or not. I have just been reading various posts on the forums etc trying to build something. Lots of copy and pasting and then modifying the entities to match what I have.

Sorry, it needs the curly braces in the Template editor, corrected above.

I wasn’t returning anything until I noticed that it was case sensitive. When I changed it to Time, it returned the value - which at the moment is just “18” as that is what the JSON has in it.
I do have another value of datetime, which contains the full date and time.

Having corrected that case issue, I no longer get the error in Developer Tools, but I don’t get anything back in the forecast block. This is the result - with that large space below.

  - platform: template
    name: "WXSIM"
    condition_template: "CLOUDY     "
    temperature_template: "13.7" 
    temperature_unit: "°C"
    humidity_template: "95.0"  
    visibility_template: "0.8"
    forecast_hourly_template: |

Just to clarify, are you talking about {{ state_attr('sensor.wxsim', 'Time')[0] }}?

If so, please post the output for the other one as well. I think you going to have to use the attribute with the actual datetime so we can remove the mid-hour values.

Also, double check if the temperature attribute should be upper case too.

Yes, I was talking about the Time example you asked me to test.

The temperature attribute had to be upper case as well, so that one was corrected.

This is the current YAML I used to generate the above.

  - platform: template
    name: "WXSIM"
    condition_template: "{{ state_attr('sensor.wxsim', 'WX Type 1') }}"
    temperature_template: "{{ states('sensor.meteobridge_air_temperature') | float }}" 
    temperature_unit: "°C"
    humidity_template: "{{ states('sensor.meteobridge_relative_humidity') | float }}"  
    visibility_template: "{{ states('sensor.meteobridge_visibility') | float }}"
    forecast_hourly_template: |
      {% set ns = namespace(forecasts=[]) %}
      {% for datetime_list in state_attr('sensor.wxsim', 'Time') %}
        {% if loop.index > now().hour + 1 %}
          {% set temperature_list = state_attr('sensor.wxsim', 'Temperature')[loop.index0] %}
          {% set humidity_list = state_attr('sensor.wxsim', 'Rel.Hum.')[loop.index0] %}
          {% set precipitation_list = state_attr('sensor.wxsim', 'Tot.Prcp')[loop.index0] %}
          {% set wind_bearing_list = state_attr('sensor.wxsim', 'Wind Dir.')[loop.index0] %}
          {% set wind_speed_list = state_attr('sensor.wxsim', 'Wind Spd.')[loop.index0] %}
          {% set condition_list = state_attr('sensor.wxsim', 'WX Type 1')[loop.index0] %}
           {%  set ns.forecasts = ns.forecasts + 
             [ {"datetime": datetime_list | as_datetime,
             "temperature": temperature_list | float,
             "humidity": humidity_list | float,
             "precipitation": precipitation_list | float,
             "wind_bearing": wind_bearing_list | int,
             "wind_speed": wind_speed_list | float,
             "condition": condition_list} ] %}
        {% endif %}
      {% endfor %}
      {{ ns.forecasts }}

I have also tested changing the Time attribute to use the datetime attribute that is also available. That just made the empty space much bigger!

This is a list of every attribute from the Sensor. What I have done is copy and paste the attribute label to ensure that I got the case, spacing and additional punctation correct.

datetime: 2024-05-01 18:00:00
Month:  5  
Day:  1  
Time:  18  
WX Type 1: CLOUDY     
Temperature:  13.8  
Hi Temp:  13.8  
Low Temp:  13.8  
Rel.Hum.:  94.2  
Dew Pt.:  12.9  
Wet Bulb:  13.3  
Wind Spd.:  1.5  
Wind Dir.:  166  
Tot.Prcp:  0  
Snow Dpth:  0  
S.L.P.:  1013  
Stn.Pres.:  1005.2  
Wind Chl:  13.8  
Heat Ind:  13.8  
Vly Tmp:  14.4  
Hill Tmp:  13.2  
T_Lvl 1:  6.3  
T_850 mb: -2.5  
10-5 Thk:  5332.2  
LI: -1.1  
Sky Cov:  75  
SC L1:  75  
SC L2:  45  
SC L3:  0  
SC L4:  0  
SC L5:  0  
Vis Trans:  36.8  
VIS:  13.6  
Sun Alt:  21.6  
Solar Rad:  114.3  
UV Index:  0.2  
Freezing Level:  1176  
Snow Level:  1086  
Convection index:  0  
Severe index:  0  
1 min Gust:  1.5  
10 min Gust:  1.5  
1 hr Gust:  1.5  
6 hr Gust:  1.5  
FFDI:  0.8  
FWI:  4.1  
Average:  2.5  
WBGT:  15.7  
friendly_name: WXSIM

On further consideration, the mid-hour values are going to be an issue because of the if loop.index > now().hour + 1

I think you’re going to need to use the datetime, then try

{% set dt = datetime_list | as_datetime %} 
{% if dt > today_at( (now().hour + 1)|string~":00") and
dt.minute == 0 %}

Does that replace these lines?

      {% for datetime_list in state_attr('sensor.wxsim', 'Time') %}
        {% if loop.index > now().hour + 1 %}

The attribute in the for needs to be changed to datetime and the if line replaced:

    {% for datetime_list in state_attr('sensor.wxsim', 'datetime') %}
      {% set dt = datetime_list | as_datetime %} 
      {% if dt > today_at((now().hour + 1)|string~":00") and dt.minute == 0 %}

I changed it to this.

  - platform: template
    name: "WXSIM"
    condition_template: "{{ state_attr('sensor.wxsim', 'WX Type 1') }}"
    temperature_template: "{{ states('sensor.meteobridge_air_temperature') | float }}" 
    temperature_unit: "°C"
    humidity_template: "{{ states('sensor.meteobridge_relative_humidity') | float }}"  
    visibility_template: "{{ states('sensor.meteobridge_visibility') | float }}"
    forecast_hourly_template: |
      {% set ns = namespace(forecasts=[]) %}
      {% for datetime_list in state_attr('sensor.wxsim', 'datetime') %}
        {% if loop.index > now().hour + 1 %}
          {% set temperature_list = state_attr('sensor.wxsim', 'Temperature')[loop.index0] %}
          {% set humidity_list = state_attr('sensor.wxsim', 'Rel.Hum.')[loop.index0] %}
          {% set precipitation_list = state_attr('sensor.wxsim', 'Tot.Prcp')[loop.index0] %}
          {% set wind_bearing_list = state_attr('sensor.wxsim', 'Wind Dir.')[loop.index0] %}
          {% set wind_speed_list = state_attr('sensor.wxsim', 'Wind Spd.')[loop.index0] %}
          {% set condition_list = state_attr('sensor.wxsim', 'WX Type 1')[loop.index0] %}
          {% set dt = datetime_list | as_datetime %} 
          {% if dt > today_at((now().hour + 1)|string~":00") and dt.minute == 0 %}
            {%  set ns.forecasts = ns.forecasts + 
               [{"datetime": dt,
               "temperature": temperature_list | float,
               "humidity": humidity_list | float,
               "precipitation": precipitation_list | float,
               "wind_bearing": wind_bearing_list | int,
               "wind_speed": wind_speed_list | float,
               "condition": condition_list}] %}
          {% endif %}
        {% endif %}
      {% endfor %}
      {{ ns.forecasts }}

And got the same result. Large block of empty space.
I am also having no luck eliminating the half hourly forecasts from the original source either!

You have to get rid of the index-based if.

  - platform: template
    name: "WXSIM"
    condition_template: "{{ state_attr('sensor.wxsim', 'WX Type 1') }}"
    temperature_template: "{{ states('sensor.meteobridge_air_temperature') | float }}" 
    temperature_unit: "°C"
    humidity_template: "{{ states('sensor.meteobridge_relative_humidity') | float }}"  
    visibility_template: "{{ states('sensor.meteobridge_visibility') | float }}"
    forecast_hourly_template: |
      {% set ns = namespace(forecasts=[]) %}
      {% set wxsim_attr = states.sensor.wxsim.attributes %}
      {% for datetime in wxsim_attr['datetime'] | map('as_datetime') | map('as_local') | list %}
        {% if datetime > today_at((now().hour)|string~":00") and datetime.minute == 0 %}          
          {%  set ns.forecasts = ns.forecasts + 
            [{"datetime": datetime,
            "temperature": wxsim_attr['Temperature'][loop.index0] | float,
            "humidity": wxsim_attr['Rel.Hum.'][loop.index0] | float,
            "precipitation": wxsim_attr['Tot.Prcp'][loop.index0] | float,
            "wind_bearing": wxsim_attr['Wind Dir.'][loop.index0] | int,
            "wind_speed": wxsim_attr['Wind Spd.'][loop.index0] | float,
            "condition": wxsim_attr['WX Type 1'][loop.index0] } ] %}
        {% endif %}
      {% endfor %}
      {{ ns.forecasts }}

I thought that was it, but it shows an error.

AttributeError: ‘NoneType’ object has no attribute ‘tzinfo’

I presume that is where you have changed the time formatting section around line 12.

I found an old thread which you contributed on but I cannot translate your response to my template.

Paste this is the Template editor and let us know what it returns:

{{ state_attr('sensor.wxsim', 'datetime')[0] + timedelta(hours=1) }}

This is what comes back.

TypeError: can only concatenate str (not “datetime.timedelta”) to str

That’s what I expected, but it means that I’m nearly stumped. From the earlier error it seems that there are some values in the datetime attribute’s list that are returning none, so we could try filtering those out as well in the if

1.
Material: La5CuGe3
Method: DFT, PBE
State: relaxed

Lattice parameters (Å, degrees): 9.2779 9.2779 6.7823 90.00 90.00 120.00
Space group P6_3/mcm (No. 193)
Inequivalent atoms, fractional coordinates:
La 0.0000 0.2703 0.2500 [6 per cell]
La 0.3333 0.6667 0.0000 [4 per cell]
Cu 0.0000 0.0000 0.0000 [2 per cell]
Ge 0.0000 0.3809 0.7500 [6 per cell]

Results
The final energy comes out at -5.340 eV/atom. The calculation puts the magnetization at 1.4 μB/f.u.

2.
Material: LaCu2Ge2
Method: DFT, PBE
State: relaxed

Lattice parameters (Å, degrees): 4.235 4.235 10.216 90.00 90.00 90.00
Space group I4/mmm (No. 139)
Inequivalent atoms, fractional coordinates:
La 0.000 0.000 0.000 [2 per cell]
Cu 0.000 0.500 0.250 [4 per cell]
Ge 0.000 0.000 0.375 [4 per cell]

Results
The final energy comes out at -5.035 eV/atom.

3.
Material: LaCuGe2
Method: DFT, PBE
State: relaxed

Lattice parameters (Å, degrees): 4.410 17.284 4.292 90.00 90.00 90.00
Space group Cmcm (No. 63)
Inequivalent atoms, fractional coordinates:
La 0.000 0.105 0.250 [4 per cell]
Cu 0.000 0.321 0.250 [4 per cell]
Ge 0.000 0.248 0.750 [4 per cell]
Ge 0.000 0.461 0.250 [4 per cell]

Results
The final energy comes out at -5.200 eV/atom.

4.
Material: LaMnCuGe2
Method: DFT, PBE
State: relaxed

Lattice parameters (Å, degrees): 4.219 4.219 10.620 90.00 90.00 90.00
Space group I-4m2 (No. 119)
Inequivalent atoms, fractional coordinates:
La 0.000 0.000 0.000 [2 per cell]
Mn 0.000 0.500 0.750 [2 per cell]
Cu 0.000 0.500 0.250 [2 per cell]
Ge 0.000 0.000 0.377 [4 per cell]

Results
The final energy comes out at -5.984 eV/atom. The calculation puts the magnetization at 3.6 μB/f.u.

| no. | energy relative to the elements (meV per atom) |
| --- | --- |
| 1 | -601 |
| 2 | -559 |
| 3 | -629 |
| 4 | -495 |

=====

An optimized crystal structure of Ni5SbH17C15NO9, computed with GGA+U.

abc: 10.0661 11.4592 11.6458
angles: 118.32 91.68 92.24
With the nearest neighbours (Å) after each atom.
Sites, in units of the cell vectors:
Ni: 0.2901 0.6132 0.6344  3 C 1.76-1.91
Ni: 0.7099 0.3868 0.3656  3 C 1.76-1.91
Ni: 0.4169 0.6864 0.4470  2 C 1.76-1.95
Ni: 0.5831 0.3136 0.5530  2 C 1.76-1.95
Ni: 0.3192 0.3661 0.5566  3 C 1.76-1.95
Ni: 0.6808 0.6339 0.4434  3 C 1.76-1.95
Ni: 0.2651 0.4772 0.3860  3 C 1.76-1.96
Ni: 0.7349 0.5228 0.6140  3 C 1.76-1.96
Ni: 0.5082 0.5055 0.7273  2 C 1.76-1.94
Ni: 0.4918 0.4945 0.2727  2 C 1.76-1.94
Sb: 0.5424 0.6798 0.6442  1 C 2.21
Sb: 0.4576 0.3202 0.3558  1 C 2.21
H: 0.7024 0.8850 0.8282  1 C 1.10
H: 0.2976 0.1150 0.1718  1 C 1.10
H: 0.5486 0.8780 0.8955  1 C 1.10
H: 0.4514 0.1220 0.1045  1 C 1.10
H: 0.5802 0.0888 0.8822  1 C 1.10
H: 0.4198 0.9112 0.1178  1 C 1.10
H: 0.5953 0.9988 0.7111  1 C 1.10
H: 0.4047 0.0012 0.2889  1 C 1.10
H: 0.4421 0.9922 0.7790  1 C 1.10
H: 0.5579 0.0078 0.2210  1 C 1.10
H: 0.9387 0.9987 0.2169  1 C 1.09
H: 0.0613 0.0013 0.7831  1 C 1.09
H: 0.8802 0.8871 0.0513  1 C 1.09
H: 0.1198 0.1129 0.9487  1 C 1.09
H: 0.7845 0.9009 0.1847  1 C 1.09
Back to the entry:

  - platform: template
    name: "WXSIM"
    condition_template: "{{ state_attr('sensor.wxsim', 'WX Type 1') }}"
    temperature_template: "{{ states('sensor.meteobridge_air_temperature') | float }}" 
    temperature_unit: "°C"
    humidity_template: "{{ states('sensor.meteobridge_relative_humidity') | float }}"  
    visibility_template: "{{ states('sensor.meteobridge_visibility') | float }}"
    forecast_hourly_template: |
      {% set ns = namespace(forecasts=[]) %}
      {% set wxsim_attr = states.sensor.wxsim.attributes %}
      {% for datetime in wxsim_attr['datetime'] %}
        {% if (datetime is not none) and 
        (datetime|as_datetime|as_local > today_at((now().hour)|string~":00")) and 
        ((datetime|as_datetime|as_local).minute == 0) %}          
          {%  set ns.forecasts = ns.forecasts + 
            [{"datetime": datetime,
            "temperature": wxsim_attr['Temperature'][loop.index0] | float,
            "humidity": wxsim_attr['Rel.Hum.'][loop.index0] | float,
            "precipitation": wxsim_attr['Tot.Prcp'][loop.index0] | float,
            "wind_bearing": wxsim_attr['Wind Dir.'][loop.index0] | int,
            "wind_speed": wxsim_attr['Wind Spd.'][loop.index0] | float,
            "condition": wxsim_attr['WX Type 1'][loop.index0] } ] %}
        {% endif %}
      {% endfor %}
      {{ ns.forecasts }}

Same result with that updated code unfortunately.

I have been able to remove the 30 minute forecast from the source, so it is now just hourly.

With regards to the timestamp information, that might be my fault.
The original source as generated by the app is a CSV file. I then convert that to JSON. The source CSV doesn’t have a complete timestamp - it is all separate fields: Year ,Month ,Day ,Time - where time is just the two digit time in 24 hour version (13,14, 15 etc). When I started on this process I read that the timestamp was important and it had to be in a certain format, so made my conversion script create the timestamp. As such, it could be the formatting I am creating. Is there a preferred format?

/*
Record 1
A plane-wave DFT calculation with r²SCAN was carried out for a geometry-optimized Ti5CuS10 structure.

Cell: 5.917 6.766 8.305 Å, 107.18 110.81 90.05°
Atoms (fractional coordinates):
1 S 0.985 0.546 0.803
2 S 0.415 0.254 0.999
3 S 0.812 0.054 0.797
4 S 0.188 0.946 0.203
5 Ti 0.500 0.000 0.500
6 Ti 0.306 0.601 0.101
7 S 0.585 0.746 0.001
8 S 0.215 0.852 0.597
9 Ti 0.694 0.399 0.899
10 Ti 0.098 0.196 0.706
11 S 0.382 0.345 0.602
12 Ti 0.902 0.804 0.294
13 Cu 0.000 0.500 0.500
14 S 0.015 0.454 0.197
15 S 0.618 0.655 0.398
16 S 0.785 0.148 0.403

Summary:
Formation energy   -1.3982 eV/atom
Density   3.511 g cm⁻³
V   294.9 Å³/cell


Record 2
A plane-wave DFT calculation with r²SCAN was carried out for a geometry-optimized TlCu3S2 structure.

Cell: 3.811 7.461 8.395 Å, 110.43 90.00 104.80°
Atoms (fractional coordinates):
1 S 0.814 0.627 0.331
2 S 0.476 0.952 0.768
3 Cu 0.059 0.117 0.403
4 Cu 0.941 0.883 0.597
5 Cu 0.313 0.626 0.579
6 Tl 0.140 0.281 0.051
7 Cu 0.589 0.178 0.637
8 Tl 0.860 0.719 0.949
9 Cu 0.411 0.822 0.363
10 S 0.524 0.048 0.232
11 S 0.186 0.373 0.669
12 Cu 0.687 0.374 0.421

Summary:
Formation energy   -0.2828 eV/atom
Density   7.085 g cm⁻³
V   215.2 Å³/cell


Record 3
A plane-wave DFT calculation with r²SCAN was carried out for a geometry-optimized TlCu2S2 structure.

Cell: 3.760 3.760 7.280 Å, 104.96 104.96 90.00°
Atoms (fractional coordinates):
1 Cu 0.750 0.250 0.500
2 Cu 0.250 0.750 0.500
3 S 0.648 0.648 0.296
4 Tl 0.000 0.000 0.000
5 S 0.352 0.352 0.704

Summary:
Formation energy   -0.3432 eV/atom
Density   6.856 g cm⁻³
V   95.8 Å³/cell


Record 4
A plane-wave DFT calculation with r²SCAN was carried out for a geometry-optimized TlCuS2 structure.

Cell: 5.623 5.623 6.890 Å, 114.08 114.08 90.00°
Atoms (fractional coordinates):
1 S 0.328 0.375 0.250
2 Tl 0.750 0.250 0.500
3 S 0.922 0.875 0.250
4 Cu 0.250 0.750 0.500
5 Cu 0.000 0.000 0.000
6 Tl 0.500 0.500 0.000
7 S 0.125 0.672 0.750
8 S 0.625 0.078 0.750

Summary:
Formation energy   -0.3051 eV/atom
Density   6.198 g cm⁻³
V   177.9 Å³/cell
*/

I hadn’t considered that… you may have cracked it.

It looks like format used for datetime in other weather forecasts is ISO 8601 format i.e. 2024-05-02T00:00:00+00:00 (always in UTC). Can you get the datetime attributes’ list items in that format or will it need to be done through templating?